The best inhalers for the prevention of asthma
and the treatment of acute asthmatic episodes.

Asthma and smoking

Data from the WHO statistical studies confirm that the number of smokers in the world exceeds one billion people. Approximately 25% of smokers are exposed to asthma - one of the most common smoking-related diseases.

Smoking is one of the main asthma triggers. The inhalation of cigarette smoke significantly increases the risk of this respiratory disease even in those patients, who do not have a genetic predisposition to it.

Asthmatic smokers have an increased sensitivity to respiratory allergens, including dust, sharp smells or cigarette smoke. This can cause severe allergies and/or increase the risk of asthma exacerbation.

The likelihood of recurrence of this respiratory tract disease, or an increase in its symptoms frequency is significantly increased in smokers:

  • whose asthma began in childhood or adolescence;
  • who started smoking at an early age or smoke more than five cigarettes a day.

With regular inhalation of tobacco smoke, the function of the respiratory tract worsens progressively in asthmatic smokers. For example, the lungs function in asthmatics, who smoke more than 15 cigarettes a day, can decrease by approximately 20% in ten years.

**Between two parts of the piece: calculated crystals:**
-- begin --
Compound: Nd6TmSe8
Source: Alexandria
Functional: PBE
Structure: optimized geometry

Structure (extended XYZ):
```
15
Lattice="0.0000 5.9520 5.9520 5.9520 0.0000 5.9520 5.9520 5.9520 0.0000" Properties=species:S:1:pos:R:3 pbc="T T T"
Nd 2.9760 2.9760 0.0000
Nd 2.9760 0.0000 2.9760
Nd 5.9520 2.9760 2.9760
Nd 0.0000 2.9760 2.9760
Nd 2.9760 5.9520 2.9760
Nd 2.9760 2.9760 5.9520
Tm 0.0000 0.0000 0.0000
Se 5.9520 5.9520 2.8921
Se 5.9520 2.8921 5.9520
Se 9.0120 5.9520 5.9520
Se 2.9760 2.9760 2.9760
Se 8.9281 8.9281 8.9281
Se 2.8921 5.9520 5.9520
Se 5.9520 9.0120 5.9520
Se 5.9520 5.9520 9.0120
```

Summary:
E_tot = -5.93 eV per atom

Compound: NdY3Tm2Se6
Source: Alexandria
Functional: PBE
Structure: optimized geometry

Structure (extended XYZ):
```
12
Lattice="8.8917 -2.0335 0.0000 8.8917 2.0335 0.0000 -1.8274 0.0000 8.0265" Properties=species:S:1:pos:R:3 pbc="T T T"
Nd 0.0000 0.0000 0.0000
Y -0.9137 0.0000 4.0132
Y 5.7315 0.0000 1.3270
Y 10.2244 0.0000 6.6995
Tm 4.7461 0.0000 5.3806
Tm 11.2098 0.0000 2.6459
Se 1.9534 0.0000 4.6577
Se 2.9005 0.0000 0.7396
Se 7.4796 0.0000 5.9317
Se 8.4763 0.0000 2.0947
Se 13.0554 0.0000 7.2869
Se 14.0025 0.0000 3.3688
```

Summary:
E_tot = -6.24 eV per atom

Compound: Nd2YTm3Se6
Source: Alexandria
Functional: PBE
Structure: optimized geometry

Structure (extended XYZ):
```
12
Lattice="8.9974 -2.0266 0.0000 8.9974 2.0266 0.0000 -2.1535 0.0000 8.0280" Properties=species:S:1:pos:R:3 pbc="T T T"
Nd 2.3054 0.0000 2.6995
Nd 13.5358 0.0000 5.3285
Y 8.9974 0.0000 0.0000
Tm 1.2556 0.0000 6.6924
Tm 7.9206 0.0000 4.0140
Tm 14.5856 0.0000 1.3356
Se -1.5215 0.0000 6.0016
Se 3.9914 0.0000 7.4655
Se 5.2209 0.0000 3.2544
Se 10.6203 0.0000 4.7735
Se 11.8498 0.0000 0.5624
Se 17.3627 0.0000 2.0263
```

Summary:
E_tot = -5.94 eV per atom

Compound: Nd3Y2TmSe6
Source: Alexandria
Functional: PBE
Structure: optimized geometry

Structure (extended XYZ):
```
12
Lattice="3.5498 -6.1794 0.0000 3.5498 6.1794 0.0000 -2.3797 0.0000 6.8983" Properties=species:S:1:pos:R:3 pbc="T T T"
Nd 0.0000 0.0000 0.0000
Nd 3.5498 2.1011 0.0000
Nd 3.5498 -2.1011 0.0000
Y 2.3599 4.1152 3.4492
Y 2.3599 -4.1152 3.4492
Tm 2.3599 0.0000 3.4492
Se 1.1974 2.0295 1.8387
Se 0.0232 0.0000 5.0774
Se 1.1974 -2.0295 1.8387
Se 3.5225 2.0295 5.0596
Se 4.6967 0.0000 1.8209
Se 3.5225 -2.0295 5.0596
```

Summary:
E_tot = -6.18 eV per atom

Compound: NdY2TmSe6
Source: Alexandria
Functional: PBE
Structure: optimized geometry

Structure (extended XYZ):
```
10
Lattice="3.6282 2.0947 6.5012 -3.6282 2.0947 6.5012 0.0000 -4.1894 6.5012" Properties=species:S:1:pos:R:3 pbc="T T T"
Nd 0.0000 0.0000 0.0000
Y 0.0000 0.0000 5.8117
Y 0.0000 0.0000 15.6330
Tm 0.0000 0.0000 9.6478
Se -2.1598 -0.0897 7.7596
Se -1.3804 -2.0749 10.9822
Se 1.1576 -1.8256 7.7596
Se -1.1067 2.2330 10.9822
Se 1.0022 1.9153 7.7596
Se 2.4871 -0.1581 10.9822
```

Summary:
E_tot = -6.16 eV per atom

Compound: Nd2YTmSe4
Source: Alexandria
Functional: PBE
Structure: optimized geometry

Structure (extended XYZ):
```
8
-- stop --

The inhalation of cigarette smoke irritates the mucous membranes of the respiratory organs, which causes an increase in sputum production. This mucus clogs smaller airways, which can cause a bronchial asthma attack.

Active asthmatic smokers with impaired respiratory function suffer from significantly increased frequency and intensity of such asthma symptoms, as severe coughing, asphyxia, and acute bronchial spasms.

Some asthmatics may have severe wheezing, asphyxia, plentiful sputum or chest tightness within a few hours after a smoked cigarette.

In addition to nicotine, cigarettes contain various toxic substances that enter the body when smoke is inhaled. These toxins accumulate in the respiratory tract and in the lungs, contributing to a gradual:

  • Reduction in the airway walls elasticity;
  • Increase in sensitivity to other asthma triggers;
  • Reduction of the volume of air inhaled in one second;
  • Irritation or inflammation of the mucous membranes of the respiratory tract.

These disorders contribute to a significant risk increase in the recurrence of respiratory disease in asthmatic smokers. In addition, cigarette smoke harms not only the active smokers, but people that surround him, as well.

Secondhand smoking is just as common asthma trigger, as the active smoking is. For this reason, asthmatics are not recommended to spend time in smoky rooms or near people, who smoke.

Data of statistical studies prove that the risk of asthma in children, whose parents smoke more than 10 cigarettes a day, is about 3 times higher, than that of children in non-smoking families.

The likelihood of asthma relapse significantly increases in children, who are exposed to secondhand smoke. For this reason, smoking parents should refrain from smoking at home or in the presence of children.

Smoking cigarettes during pregnancy is one of the main risk factors for asthma in children after birth. To let the fetus develop properly, pregnant women are not recommended to:

  • Consume tobacco products
  • Be exposed to secondhand smoke
  • Be in smoke-filled premises

Active smokers have a significantly increased resistance to inhaled corticosteroids, which are the strongest anti-asthmatic drugs. Thus, smoking can reduce the effectiveness of asthma treatment.

Smoking increases the synthesis of certain enzymes that accelerate the metabolism and the removal of anti-asthmatic drugs from the body. Thus, inhaling cigarette smoke reduces the therapeutic effect of inhaled corticosteroids.

To increase the efficacy of drugs for anti-asthma treatment, smokers are additionally prescribed:

  • Uniphyl or other medicines with Theophylline.
  • Antioxidant Acetylcysteine ​​(available under the name Mucomyst).

The use of these medicines helps increase the asthmatic smokers' clinical response to inhaled corticosteroids, and thus improve the effectiveness of treatment for severe or moderate asthma.

To reduce the risk of asthma exacerbation, asthmatic smokers need to attend educational programs on asthma management, and regularly go through a complete assessment of the respiratory system.

To improve the efficacy of asthma treatment or to prevent its relapse, patients are recommended to completely give up smoking. For the treatment of nicotine dependence, asthmatics are prescribed a combined therapy that includes such methods, as:

  • behavior modification
  • nicotine replacement therapy
  • psychological counseling

Quitting smoking contributes to a gradual restoration of the respiratory system function, as well as a reduction in the risk of respiratory tract infections and a reduction of sputum production.

Asthma symptoms may worsen for about a week after patient quits smoking. However, strong cough, wheezing with breathing or asphyxia gradually decrease with prolonged abstinence from smoking.

In addition, the efficacy of bronchodilators and/or corticosteroids significantly increases in asthmatics who quit smoking. As of now, these are the most effective drugs for the treatment or prevention of asthma.

In cases where the patient can not quit smoking, he can be prescribed combined medicines for asthma treatment, including Advair (Fluticasone and Salmeterol), Dulera (Mometasone and Formoterol) or Symbicort (Budesonide and Formoterol).

These anti-asthmatic drugs contribute to a rapid reduction in inflammation of the respiratory tract and reduce sputum production. Their use helps reduce the frequency and/or intensity of asthma attacks.

In addition, these combined drugs for the treatment of asthma contribute to a fast relief of asthma exacerbation, caused by a sudden smoking cessation.